Nurse nerf
What is everyone else's thoughts on the base nurse nerf? For anyone who doesn't know her blinks now recharge. She can have up to 2 at base (assuming I understood it right) and they take 3 seconds to recharge. The recharge starts at the beginning of fatigue.
Did they remove hatch grabs completely?
I thought with the introduction of the EGC update hatch grabs would only work if the end game collapse has not triggered. Am I wrong? Are hatch grabs removed entirely?
With Sony rolling out cross platform support...
Does that mean we can get cross play with the nintendo switch and xbox one? Or at the very least cross platform data?
Perk idea
Couldn't think of a good name, just the concept. Crippling hooks At the start of the trial, 4/5/6 random hooks are chosen. If a survivor is hooked on one of these hooks, the survivor will lose a random perk for the remainder of the trial. Survivors can only lose one perk each. Hooking a survivor who has already lost a hook…
Mettle of Man nerf!!
Great Job Devs! This is a much welcomed change and will be very healthy for the game!
Can devs increase max sensitivity on controllers?
Title. It is painfully slow. 360's are annoyingly hard to counter with a controller.
Is this toxic?
I've been learning nurse on ps4. I have decided to have some fun while I do it though. I've been using the insidious noed then blinking into the exit gate. It's so fun to pull off. But I use Ruin too. This is what it looks like: Noed Ruin BBQ Insidious I'll accept that ruin and noed are crutches on nurse. So I dont use…
Petition to bring shrine back
Bring shrine back to the old spot please. Its dumb you have to go through the shop to get to it. The worse thing is you can't even look at the shrine while waiting on a lobby.
Do hooks just not respawn anymore?
I just played on haddonfield and the last survivor wiggled off 4 times due to lack of hooks. They didnt even stay in same area. There were like 12 hooks in the entire map total -3 from the other survivors.
Are hatch spawning conditions the same?
Title. I havent been able to play much since EGC was released and I'm wondering what the spawn conditions are.
Addition to the tutorial
Can we get like an infinite gen to practice skill checks on?
Autodidact QOL change
Can you make either the skill check zone white or the bar white for the first few skill checks? It's hard to see.
Is freddy bugged?
I was playing against one earlier and went through an area and couldn't find any pallets. I thought it was a deadzone but I got to the shack and couldn't see the pallet. He went over and broke it but it looked like he was kicking the air. Anyone else have this problem?
I hope they add a battle pass.
There. I said it. Theres no reason not to add one other than: "Reeeeee fortnite bad!" I would love to see some rewards for playing.
Change to bloodlust
Make it active when following a trail of scratchmarks. I can't count the amount of times the chase broke when it shouldn't have.
Question about new enduring change
Would this actually be a buff to how fast you recover from pallets?
Good nurse builds?
I'm learning nurse and just wondering what some good builds are. Like add-on combinations perks stuff like that.
Pop goes the weasel buff idea
For the duration of the perk, the progress of generators can be determined by the intensity of their aura.
Small saboteur buff
Making it able to see the auras of hooks within like a 20m range would be great.
Get rid of legion losing all FF on misses.
Title. It is an un-necessary restriction and hinders console players especially. At the very least make it what everyone expected. That the bar doesn't completely disappear, it just resets from the point you were at.
When will we get details on freddy's rework?
In April the devs said we would find out details next month (may). I'm just wondering when.
Legion is bugged. Urgent fix needed.
@Peanits Legion loses the full power bar when missing an attack. This is a very terrible bug especially for console players. Please fix ASAP.
Is legion bugged?
I could have swore a dev said legion would not lose all of feral frenzy when missing an attack. It would just have to regenerate from where it was. Am I wrong or was this said?
Idea to make prestiging worth it and lessen grind
## Data records from another source follow
/*
Structure and simulated powder XRD pattern of Tm3MgPb5 (a cell relaxed with PBE; Cu Kα (λ = 1.5418 Å)).
Kinematic intensities with the Lorentz-polarization factor, no thermal factor.

Most intense lines, 10 to 80 degrees two-theta, by angle:
27.5°, I = 15, (0 0 2)
32.3°, I = 51, (2 1 1)
33.1°, I = 95, (3 0 0)
33.6°, I = 100, (1 1 2)
42.5°, I = 16, (3 1 1)
47.9°, I = 29, (2 2 2)
59.5°, I = 21, (4 1 2)
62.2°, I = 15, (4 2 1)
65.7°, I = 14, (5 1 1)
67.3°, I = 25, (3 0 4)

Crystal structure
Lattice parameters (Å, degrees): 9.3689 9.3689 6.4864 90.00 90.00 120.00
Fractional positions:
Tm: 0.0000 0.3779 0.2500
Tm: 0.0000 0.6221 0.7500
Tm: 0.3779 0.0000 0.2500
Tm: 0.3779 0.3779 0.7500
Tm: 0.6221 0.0000 0.7500
Tm: 0.6221 0.6221 0.2500
Mg: 0.0000 0.0000 0.0000
Mg: 0.0000 0.0000 0.5000
Pb: 0.0000 0.2846 0.7500
Pb: 0.0000 0.7154 0.2500
Pb: 0.2846 0.0000 0.7500
Pb: 0.2846 0.2846 0.2500
Pb: 0.3333 0.6667 0.0000
Pb: 0.3333 0.6667 0.5000
Pb: 0.6667 0.3333 0.0000
Pb: 0.6667 0.3333 0.5000
Pb: 0.7154 0.0000 0.2500
Pb: 0.7154 0.7154 0.7500

----------

[1]
Starting from a DFT-relaxed cell (PBE, Alexandria), the powder diffraction line list of Pa2TiGeN6 was computed for a wavelength of 1.5418 Å.

Structural model:
Unit cell a=5.2369 b=5.2369 c=4.8141 alpha=90.00 beta=90.00 gamma=90.00
Element x y z (fractional)
Pa 0.0000 0.5000 0.0000
Pa 0.5000 0.0000 0.0000
Ti 0.0000 0.0000 0.5817
Ge 0.5000 0.5000 0.5818
N 0.0000 0.0000 0.1943
N 0.2524 0.2524 0.7340
N 0.2524 0.7476 0.7340
N 0.5000 0.5000 0.2006
N 0.7476 0.2524 0.7340
N 0.7476 0.7476 0.7340

The 8 most intense peaks (2θ from 10° to 80°), most intense first:
2theta	I/Imax
30.5	1000
34.2	364
18.4	350
59.0	317
24.0	256
51.6	236
39.2	219
44.9	210

=====

[2]
Starting from a DFT-relaxed cell (PBE, Alexandria), the powder diffraction line list of Ge2Pb5N6 was computed for a wavelength of 1.5418 Å.

Structural model:
Unit cell a=5.9471 b=5.9471 c=14.8569 alpha=94.91 beta=94.91 gamma=74.85
Element x y z (fractional)
Ge 0.0495 0.4201 0.4109
Ge 0.4201 0.0495 0.9109
Ge 0.5799 0.9505 0.0891
Ge 0.9505 0.5799 0.5891
Pb 0.0808 0.1927 0.1876
Pb 0.1927 0.0808 0.6876
Pb 0.2087 0.6557 0.0283
Pb 0.3443 0.7913 0.4717
Pb 0.4528 0.5472 0.2500
Pb 0.5472 0.4528 0.7500
Pb 0.6557 0.2087 0.5283
Pb 0.7913 0.3443 0.9717
Pb 0.8073 0.9192 0.3124
Pb 0.9192 0.8073 0.8124
N 0.0636 0.1497 0.3418
N 0.1497 0.0636 0.8418
N 0.1507 0.6337 0.3458
N 0.2325 0.4495 0.5248
N 0.3663 0.8493 0.1542
N 0.4495 0.2325 0.0248
N 0.5505 0.7675 0.9752
N 0.6337 0.1507 0.8458
N 0.7675 0.5505 0.4752
N 0.8493 0.3663 0.6542
N 0.8503 0.9364 0.1582
N 0.9364 0.8503 0.6582

The 8 most intense peaks (2θ from 10° to 80°), most intense first:
2theta	I/Imax
27.5	1000
31.1	931
32.4	755
27.9	489
33.2	448
32.3	411
50.5	401
25.4	396

=====

[3]
Starting from a DFT-relaxed cell (PBE, Alexandria), the powder diffraction line list of GePbN2 was computed for a wavelength of 1.5418 Å.

Structural model:
Unit cell a=6.1178 b=6.1178 c=9.0403 alpha=90.00 beta=90.00 gamma=122.78
*/
This is very simple idea I had. It would massively reduce the grind for the high end players. What I'm proposing, is different levels of teachables. Everything would be the same from the first teachable. Other characters can still get it in their bloodweb and level it up to 3. But what if at prestige 2, when you reach a…
Head on QOL change
You know how hag traps have a ring around them that tells you the effective range? Implement that but with head-on.
New joystick buff
Is this on the ptb? I read in another thread joysticks are being optimized and I'm wondering if anyone has got to try this out yet.
Where is the MoM nerf/rework?
The forum has not shut up about this perk since its release. Everyone hates it aside from like 5 people.
== Between two parts of the entry: materials data ==
[1]
Starting from a crystal structure in the Materials Project, relaxed with GGA-PBE, the PXRD pattern of NbFeRu2 was simulated for λ = 1.5418 Å (Cu Kα).

Top 6 peaks for 10 to 90 degrees two-theta, by angle:
hkl 1 1 1, 25.13 deg, rel. 3
hkl 2 0 0, 29.10 deg, rel. 3
hkl 2 2 0, 41.62 deg, rel. 100
hkl 3 1 1, 49.24 deg, rel. 1
hkl 4 0 0, 60.32 deg, rel. 16
hkl 4 2 2, 75.96 deg, rel. 32

Structure:
Lattice parameters (Å, degrees): 6.1373 6.1373 6.1373 90.00 90.00 90.00
Space group Fm-3m (No. 225)
Unique sites:
Nb 0.0000 0.0000 0.0000 x4
Fe 0.0000 0.0000 0.5000 x4
Ru 0.2500 0.2500 0.2500 x8

---

[2]
Starting from a crystal structure in the Materials Project, relaxed with GGA-PBE, the PXRD pattern of NaSi6 was simulated for λ = 1.5418 Å (Cu Kα).

Top 6 peaks for 10 to 90 degrees two-theta, by angle:
hkl 1 1 2, 27.18 deg, rel. 45
hkl 1 1 3, 31.80 deg, rel. 100
hkl 0 2 4, 33.88 deg, rel. 76
hkl 1 3 1, 34.11 deg, rel. 45
hkl 2 0 0, 43.28 deg, rel. 55
hkl 2 4 0, 56.09 deg, rel. 50

Structure:
Lattice parameters (Å, degrees): 4.1810 10.5504 12.2348 90.00 90.00 90.00
Why is remember me being gutted?
The EGC doesnt even trigger until an exit gate is opened. Why nerf the perk this hard? This is stupid (for lack of a better word). Just rework it entirely, theres no use in making it completely useless.
Question about the ptb
Will there be anything in the patch notes we don't know about yet?
Can we stop buffing borrowed time please?
Seriously, before legion this was a meta perk and everyone agreed it was perfectly balanced. Then legion dropped and BT got buffed, for absolutely no reason. Now it's getting buffed again? Just bring back the pre-legion borrowed time.
Do the devs use the forums on mobile?
This isnt flaming the devs or anything I'm just curious. The mobile version has been completely bugged for like a month now. I cant '@' anyone because every second letter typed retypes everything. The cursor randomly jumps into the middle of words. This took so freaking long to type. I love these forums but devs please…
Prestiging QOL change
I had an idea for prestige that at P1 you start with the character's teachables at level 2. P2 they would be level 3. Then at P3 they start with level 3 versions of the characters perks along with 3 slots unlocked.
Fat shame spot(s) on haddonfield
A lot of times as killer (maybe survivors havent got haddonfield enough to answer for that side) when you hook someone behind one of the houses there will be something in front of the hook. This prevents killers from going through there.
Any other mobile users having issues with the forums?
I swear ever since the past few weeks typing has become so frustrating. I cant "@" anyone without spending 5 minutes doing so. Every second character I type it repeats everything already typed. Just regular typing is also annoying, the cursor will randomly jump in the middle of a word. Any other mobile users having issues?
Iron Maiden buff/QOL change
I saw another thread about changing iron maiden and had an idea. What if instead of giving the notification when the survivor leaves, how about when they enter it? That way the killer has a head start and actually has a chance make use of the perk.
Impressions on the plague
I really like the killer. She seems strong and she's very fun to play (at least in my opinion). I do think they should either remove the pallet stun cancelling corrupt purge or remove the speed penalty when fully charged. These drawbacks are unnecessary.
New ranking is awful.
I played spoopy myers but with devour hope and luckily got lerys. I 4k'd and didnt even pip. This is dumb, I get punished for playing well?
When are console players gonna get some love?
Honestly its ridiculous. 360's are actually broken on console. At best you have a 50/50 chance. They can move faster than you can move the camera. It's so stupid. I watched someone play on PC and good lord am I jealous. Actually being able to follow survivors with the camera? That would be such a nice feature. I don't even…
Reverse new BBQ change
Instead of making the aura reading the same on all tiers, make the BP bonus the same. The aura reading is already weak. People don't use it for the auras, its for the bloodpoints.
Tips to teaching someone the game?
I'm bad at survivor. My mom has decided to start playing and I have no clue how to be a teacher. It's usually me screeching about pallets and looping while she spins around confused. Anyone teach someone the game and if so any tips to teaching?
Anyone try new killer w controller?
Title. It seems like its going to be really hard to aim with a controller.
Blood Warden buff idea
Credit to @Luigifan64 for inspiring this idea in a different thread. Current Blood Warden is a bit underwhelming and is quite difficult to get to proc in a useful situation. The problem with current Blood Warden: You play until the endgame minus one perk, then there's a strong chance the perk has no real impact on the…
Where is Hag on the tier list?
If I'm not mistaken isnt hag top tier? I could've sworn the general consensus was that she is high tier with a high skill cap.